# Request
Quote the calculation results further below from the line with "0.56875, -2.26567]," to the end word for word.
# Data
┌──
{
  "formula": "C2H4N2OS2",
  "method": "ωB97M-V/def2-TZVPD",
  "symbols": ["C", "C", "H", "H", "H", "H", "N", "N", "O", "S", "S"],
  "coordinates": [[0.30711, 0.26791, 0.58652], [-1.36526, 0.78807, -1.12781], [1.68218, -1.15478, 2.88235], [-0.01296, 1.18939, 1.16521], [0.03791, -2.04818, -2.03263], [-1.42118, 0.56875, -2.26567], [1.08283, -0.61584, 1.19532], [-0.32319, -0.00374, -0.63750], [1.58590, 0.03297, 2.33778], [0.65936, -0.72148, -1.89141], [-2.23270, 1.69692, -0.21216]],
  "lowdin_charge": [-0.27, -0.83, 0.29, 0.11, -0.06, 0.07, -0.08, -0.53, -0.19, 0.76, 0.74],
  "relative_energy_kj_mol": 496.47,
  "largest_force_ev_per_a": 7.3,
  "e_homo_ev": -8.9,
  "orbital_gap_ev": 8.87
}

---

{
  "formula": "C2H4N2S",
  "method": "ωB97M-V/def2-TZVPD",
  "symbols": ["C", "N", "N", "C", "S", "H", "H", "H", "H"],
  "coordinates": [[1.29710, -1.03311, -0.05247], [0.05299, -1.35078, 0.00835], [-0.90142, -0.38282, 0.08417], [-0.51052, 1.05026, -0.03831], [1.42449, 0.83799, 0.02322], [2.18959, -1.61886, -0.11721], [-1.86709, -0.78096, 0.23560], [-0.91649, 1.59116, -0.96548], [-0.76866, 1.68711, 0.82214]],
  "lowdin_charge": [-0.42, -0.11, -0.16, -0.39, 0.75, 0.05, 0.15, 0.08, 0.05],
  "smiles": "C1=NNCS1",
  "relative_energy_kj_mol": 164.13,
  "largest_force_ev_per_a": 4.6,
  "e_homo_ev": -8.0,
  "orbital_gap_ev": 8.97
}

---

{
  "formula": "C2H4N2S",
  "method": "ωB97M-V/def2-TZVPD",
  "symbols": ["C", "N", "N", "C", "S", "H", "H", "H", "H"],
  "coordinates": [[-0.89974, 1.17325, 0.16356], [0.31852, 1.33559, 0.02536], [0.98460, 0.21617, -0.01491], [0.23371, -1.06285, -0.00952], [-1.50508, -0.55503, 0.04518], [-1.67734, 2.00340, 0.12205], [1.92317, 0.36502, -0.35658], [0.29594, -1.75660, -0.79991], [0.32623, -1.71895, 0.82476]],
  "lowdin_charge": [-0.47, -0.09, -0.13, -0.45, 0.83, 0.09, 0.13, 0.04, 0.04],
  "smiles": "C1=NNCS1",
  "relative_energy_kj_mol": 147.42,
  "largest_force_ev_per_a": 4.3,
  "e_homo_ev": -7.9,
  "orbital_gap_ev": 8.72
}

---

{
  "formula": "C2H4N2S",
  "method": "ωB97M-V/def2-TZVPD",
  "symbols": ["N", "C", "C", "N", "S", "H", "H", "H", "H"],
  "coordinates": [[-0.49655, -2.15685, -2.19309], [-0.79844, -1.59527, -1.24704], [-0.79076, -0.29862, -0.19901], [0.22600, -0.42203, 0.80604], [-0.61416, 1.20068, -1.31947], [-1.67448, -0.02622, 0.24526], [0.12413, 0.20816, 1.57353], [1.19905, -0.32637, 0.33658], [0.64963, 1.18605, -1.05903]],
  "lowdin_charge": [0.10, -0.19, -0.65, -0.02, 0.73, 0.03, 0.07, 0.12, -0.19],
  "smiles": "N#C[C@@H](N)S",
  "relative_energy_kj_mol": 132.46,
  "largest_force_ev_per_a": 4.9,
  "e_homo_ev": -9.8,
  "orbital_gap_ev": 10.30
}

---

{
└──
# Worked solution
  "coordinates": [[0.30711, 0.26791, 0.58652], [-1.36526, 0.78807, -1.12781], [1.68218, -1.15478, 2.88235], [-0.01296, 1.18939, 1.16521], [0.03791, -2.04818, -2.03263], [-1.42118, 0.56875, -2.26567], [1.08283, -0.61584, 1.19532], [-0.32319, -0.00374, -0.63750], [1.58590, 0.03297, 2.33778], [0.65936, -0.72148, -1.89141], [-2.23270, 1.69692, -0.21216]],
  "lowdin_charge": [-0.27, -0.83, 0.29, 0.11, -0.06, 0.07, -0.08, -0.53, -0.19, 0.76, 0.74],
  "relative_energy_kj_mol": 496.47,
  "largest_force_ev_per_a": 7.3,
  "e_homo_ev": -8.9,
  "orbital_gap_ev": 8.87
}

---

{
  "formula": "C2H4N2S",
  "method": "ωB97M-V/def2-TZVPD",
  "symbols": ["C", "N", "N", "C", "S", "H", "H", "H", "H"],
  "coordinates": [[1.29710, -1.03311, -0.05247], [0.05299, -1.35078, 0.00835], [-0.90142, -0.38282, 0.08417], [-0.51052, 1.05026, -0.03831], [1.42449, 0.83799, 0.02322], [2.18959, -1.61886, -0.11721], [-1.86709, -0.78096, 0.23560], [-0.91649, 1.59116, -0.96548], [-0.76866, 1.68711, 0.82214]],
  "lowdin_charge": [-0.42, -0.11, -0.16, -0.39, 0.75, 0.05, 0.15, 0.08, 0.05],
  "smiles": "C1=NNCS1",
  "relative_energy_kj_mol": 164.13,
  "largest_force_ev_per_a": 4.6,
  "e_homo_ev": -8.0,
  "orbital_gap_ev": 8.97
}

---

{
  "formula": "C2H4N2S",
  "method": "ωB97M-V/def2-TZVPD",
  "symbols": ["C", "N", "N", "C", "S", "H", "H", "H", "H"],
  "coordinates": [[-0.89974, 1.17325, 0.16356], [0.31852, 1.33559, 0.02536], [0.98460, 0.21617, -0.01491], [0.23371, -1.06285, -0.00952], [-1.50508, -0.55503, 0.04518], [-1.67734, 2.00340, 0.12205], [1.92317, 0.36502, -0.35658], [0.29594, -1.75660, -0.79991], [0.32623, -1.71895, 0.82476]],
  "lowdin_charge": [-0.47, -0.09, -0.13, -0.45, 0.83, 0.09, 0.13, 0.04, 0.04],
  "smiles": "C1=NNCS1",
  "relative_energy_kj_mol": 147.42,
  "largest_force_ev_per_a": 4.3,
  "e_homo_ev": -7.9,
  "orbital_gap_ev": 8.72
}

---

{
  "formula": "C2H4N2S",
  "method": "ωB97M-V/def2-TZVPD",
  "symbols": ["N", "C", "C", "N", "S", "H", "H", "H", "H"],
  "coordinates": [[-0.49655, -2.15685, -2.19309], [-0.79844, -1.59527, -1.24704], [-0.79076, -0.29862, -0.19901], [0.22600, -0.42203, 0.80604], [-0.61416, 1.20068, -1.31947], [-1.67448, -0.02622, 0.24526], [0.12413, 0.20816, 1.57353], [1.19905, -0.32637, 0.33658], [0.64963, 1.18605, -1.05903]],
  "lowdin_charge": [0.10, -0.19, -0.65, -0.02, 0.73, 0.03, 0.07, 0.12, -0.19],
  "smiles": "N#C[C@@H](N)S",
  "relative_energy_kj_mol": 132.46,
  "largest_force_ev_per_a": 4.9,
  "e_homo_ev": -9.8,
  "orbital_gap_ev": 10.30
}

---

{